“The dark sky lit up and the thunder rumbled immediately after; longer and more deeply than we’ve ever heard.”

This week we were expecting our first tropical storm and had to prepare for it. Since we’ve been in the Caribbean, the winds have been much more predictable and moderate than back at home, but that was the dry season. The hurricane season runs from 1st June to 30th November and this means we can get wet weather and tropical cyclones ranging from a depression up to a hurricane. Thankfully hurricanes don’t hit Grenada too often and we knew that this was not going to be a hurricane. Two days before the storm our phone data stopped working. This meant we couldn’t update our weather forecasts and had to rely on the morning Grenada cruisers net on the VHF radio for the weather forecast. As the days grew closer, we were told the cyclone had been upgraded from a tropical depression to a tropical storm. The Grenada cruisers Facebook group was full of contradictory information about what this would mean. The forecasting apps showed winds of 30 knots with gusts up to 40 knots, although one of the models was showing gusts of 50+. We overheard someone in a marina café saying that the wind funnels between the islands and you should add on another 10 knots to the winds that have been forecasted. So we were rather apprehensive about what would happen.
With the forecast still showing that Grenada was going to be in the eye of the storm, we needed to prepare the boat to withstand whatever may come as much as possible. The first thing to do was to put down a second anchor. Luciano took the heavy anchor and the long length of thick heavy rope that we use for this purpose in our flimsy inflatable dinghy and dropped it with a splash at what is supposed to be a 45 degree angle to the other anchor, although ours was more like 30 degrees due to the position of the other boats. However, we were still concerned. We had dropped a second anchor when we realised we were dragging with our main anchor in Barbados and it hadn’t helped at all. Still, our main anchor is much better now and had already been tested in winds of 35 knots. The other dilemma was whether to stay where we were or to try to move closer in to a more sheltered position. We were nearer the entrance to the bay than most other boats. Two other boats nearer the entrance moved to be closer in nearer the mangroves. We decided to stay put. We knew that one of the risk factors was boats on unattended moorings coming loose in a storm and bashing into you. We had three boats around us with no one on them, but we had been told by other cruisers that they were all on new moorings which had been checked recently, so that reassured us.
**Misplaced calculated molecules:**
- - -
Record 1
# C6H12N2Si

C6H12N2Si in the gas phase (ωB97M-V with the def2-TZVPD basis set, the OMol25 dataset).

Values from the calculation:
SMILES   CCC[SiH2]n1ccnc1
Total charge   0
Electronic energy   -634.7776 a.u.
HOMO   -8.6 eV
LUMO   0.78 eV

Geometry (Å):
C  -3.58381  -0.85626  -0.61364
C  -2.27809  -0.58438  -0.90960
C  -2.90965  0.63406  0.70147
C  3.08978  -0.08663  0.89335
C  2.16984  -0.75938  -0.16712
C  1.23121  0.28852  -0.86447
N  -3.93562  -0.07327  0.45876
N  -1.85249  0.34646  -0.09250
Si  -0.23182  0.99307  0.22575
H  -4.21174  -1.72920  -0.92692
H  -1.73239  -1.10509  -1.65180
H  -2.63530  1.20551  1.61351
H  2.63512  0.36912  1.78892
H  3.44037  0.90860  0.42655
H  3.93887  -0.80902  1.13100
H  1.55103  -1.45879  0.37114
H  2.76774  -1.28094  -0.84606
H  1.15539  -0.08773  -1.85176
H  -0.40822  2.22078  -0.36938
H  1.87421  1.17708  -0.85721
H  -0.07441  0.68749  1.53999

Record 2
# C2H2I2S2

A 2-piece molecular cluster, C2H2I2S2 overall (ωB97M-V with the def2-TZVPD basis set, the OMol25 dataset).

Values from the calculation:
Total charge   0
Electronic energy   -1469.0311 a.u.
HOMO (spin up / spin down)   -9.0 / -9.0 eV
LUMO (spin up / spin down)   -3.19 / -3.18 eV

Geometry (Å):
C  0.45398  0.47060  -0.30426
C  -0.28593  -0.58564  -0.32454
S  0.00533  2.06438  0.21988
S  -0.03714  -2.25706  -0.61173
I  2.75356  0.33898  -0.51536
I  -3.26017  0.33790  -0.12212
H  0.88221  2.16157  1.06881
H  -0.51184  -2.53073  0.58931

Record 3
# C7H18P2

A 2-piece molecular cluster, C7H18P2 overall (ωB97M-V with the def2-TZVPD basis set, the OMol25 dataset).

Values from the calculation:
Total charge   0
Electronic energy   -959.9601 a.u.
HOMO   -6.2 eV
LUMO   0.63 eV

Geometry (Å):
C  0.65774  -1.66672  -0.23006
C  2.33156  0.25030  1.80221
C  1.50053  0.87420  -1.04015
C  3.35834  -1.33844  -0.48082
C  -2.57512  -1.24016  1.07901
C  -1.84340  1.36035  0.46169
C  -2.72435  -0.55858  -1.61456
P  1.83884  -0.50679  0.13693
P  -1.59033  -0.29191  -0.22497
H  1.85848  1.12933  2.13299
H  2.23352  -0.64576  2.44214
H  3.34636  0.62026  1.72160
H  0.86120  1.50845  -0.41569
H  2.26109  1.37756  -1.48795
H  0.88492  0.54995  -1.88417
H  2.86035  -2.15210  -1.10310
H  4.14987  -0.67444  -0.76306
H  3.97935  -1.89521  0.27358
H  -1.97501  -2.03210  1.59332
H  -2.88028  -0.58580  1.86697
H  -3.42422  -1.63062  0.61663
H  -1.35900  2.19565  -0.22880
H  -2.91633  1.62101  0.66537
H  -1.39604  1.27728  1.38221
H  -2.31335  -0.12888  -2.49307
H  -3.06858  -1.60388  -1.84694
H  -3.64614  0.12261  -1.32905

Record 4
# C4H8O3

A 2-piece molecular cluster, C4H8O3 overall (ωB97M-V with the def2-TZVPD basis set, the OMol25 dataset).

Values from the calculation:
Total charge   0
Electronic energy   -382.8346 a.u.
HOMO   -8.4 eV
LUMO   0.59 eV

Geometry (Å):
C  -0.93322  -0.72671  0.46812
C  -1.24260  -0.31739  1.87096
C  0.89652  1.28236  -1.07907
C  0.29760  -0.92348  0.00975
O  1.94435  0.88014  -1.73169
O  -0.13299  1.46652  -1.93351
- - -
**End of the calculated molecules:**
On Tuesday when the storm was due to hit, we brought down our cockpit tent in the morning, as we were concerned about strong winds ripping it. We also wanted the visibility to look and see if we, or any other boats were dragging. Torrential rain started that afternoon. It poured and poured. We put down towels in places inside where we had leaks from windows and hatches - mainly on our bed! Luciano put butyl tape around one of the rigging posts which turned out to be one of the sources of the leaks. The temperature rose inside as the hatches had to remain tight shut. It is always warm in the Caribbean. We put out some saucepans to try and catch some rainwater, but then the lightning started. The dark sky lit up and the thunder rumbled immediately after; longer and more deeply than we’ve ever heard. The saucepans suddenly looked like potential lightning conductors, so we brought them in, nervously grabbing them soon after a flash had passed. We wrapped one of our deflated standup paddleboards around the metal pole that runs through our saloon and is what holds the mast in place - Chocolate was having a nap in there and this felt like some sort of safety precaution. We put our electronics in the oven. Looking at our instruments, we saw that the wind was approaching thirty knots, but we knew that the worst of the storm was supposed to hit in the middle of the night between midnight and 3.00am.
By evening it was still raining hard, but the wind speed was not too strong, between about 15 and 25 knots, often dropping well below that. The wind stayed in the east, which was good for us as we had most protection from that direction. By bedtime there hadn’t been much change. We took it in turns to wake up every hour to check to see if the wind had increased. By the morning we looked at each other in puzzlement. The wind hadn’t increased. Was that it? We had no phone data to check online. At 7.30am the cruisers network announced over the radio that the storm had passed. Very sadly a couple of boats not far from us said they had been struck by lightning and were looking for electricians. We’re not sure if it was just because we were in a well protected anchorage that the winds didn’t get very high, or if it was just that there wasn’t enough time for the winds to build up as much as predicted, but we had a relatively easy time of it. There is another tropical wave on its way, but this one is unlikely to turn into a tropical cyclone due to the environmental conditions. The water now has had a bit of debris floating around; twigs and grass and a few coconuts, but nothing too serious.
We solved the mystery of our phones - it turns out that our SIM cards we bought in Martinique are not supposed to work outside of Martinique using the top ups we had been buying and the system had only just caught up several months after we left Martinique. Very annoying as they wouldn’t give us a refund for the top ups we had made and couldn’t use. We’ve now switched phone companies, have new SIM cards with a Grenadian phone number and can access the internet again. The weather is still showery but the wind has completely died, so all the boats are facing in random directions. Errands off the boat have to be done quickly inbetween showers. We’re relieved we’ve passed through this storm unscathed but we will be a little nervous about the safety of the boat when we are back in England. Grenada doesn’t get hit by hurricanes very often, but in 2004 and 2005 it did. Hurricane Ivan in 2004 was particularly severe, knocking over boats in the boatyards and ripping the trees off the mountains. 80% of Grenada’s nutmeg crop was destroyed. August and September are the most likely times to get a hurricane. Hopefully we will not be unlucky with a bad hurricane, but there will be nothing we can do about it. That’s why you pay through the nose for insurance while sailing in the Caribbean. But the risks are so worth it. Warm water to swim in, beautiful scenery and friendly people and the freedom to sail to the next place when your nomad’s mind starts to wander. Moreover, you live on your own personal island with no one to tell you what to do!
=====
The following is a quantum chemistry calculation of a molecular structure, C12H40B2O4Rb3, from OMol25.

As for the max |F|: 4.58 eV/Å. The net charge is +2. Its multiplicity is 2. Its gap between HOMO and LUMO (spin up / spin down) is 7.9 / 2.0 eV.

Geometry as XYZ:
```
61
C12H40B2O4Rb3 ωB97M-V/def2-TZVPD
Rb 0.520 -2.217 -2.227
Rb -2.464 1.347 -2.798
Rb 1.767 2.368 -3.014
O 3.286 -2.313 -1.914
O 1.671 1.388 2.227
O 1.025 3.875 -0.578
O -2.307 -3.395 -0.606
C -3.194 -1.969 1.023
C 1.230 6.000 0.724
C 4.684 -3.845 -0.875
C 0.297 4.970 0.032
C -4.621 -2.720 -0.789
C 0.355 1.224 2.738
C -0.087 -0.247 2.651
C -3.223 -2.266 -0.412
C 0.154 1.889 4.148
C 3.957 -2.506 -0.680
C -0.622 4.288 1.051
C 2.905 -2.632 0.462
B 0.097 0.429 -1.036
B -2.047 -1.464 -4.435
H -2.741 -3.983 -1.229
H -2.178 -1.882 1.408
H 1.860 0.945 1.397
H -1.207 3.475 0.620
H -2.833 -1.457 -1.028
H 1.736 5.649 1.623
H 2.241 -3.470 0.253
H 5.019 -3.994 -1.902
H -0.085 3.752 1.834
H -3.500 -2.890 1.520
H 0.328 2.956 4.010
H -2.388 -2.401 -4.845
H -1.285 -0.997 -5.039
H 5.660 -3.908 -0.394
H 0.774 3.070 -0.118
H 0.786 6.955 1.006
H -0.910 1.717 4.310
H -5.231 -1.847 -0.557
H -1.699 -1.569 -3.418
H 1.006 0.029 -0.614
H 2.051 6.261 0.056
H 0.013 1.444 -0.679
H 2.067 -1.937 0.501
H 3.297 -2.817 1.462
H -1.004 -0.521 3.172
H -1.301 5.002 1.515
H 3.923 -2.137 -2.610
H -0.200 5.453 -0.810
H 0.103 0.362 -2.113
H -0.766 -0.125 -0.702
H 4.657 -1.690 -0.500
H -0.365 1.588 2.005
H -3.883 -1.186 1.340
H -0.064 -0.739 1.678
H -2.878 -0.776 -4.416
H 0.802 1.426 4.892
H 4.005 -4.646 -0.583
H 0.625 -0.839 3.225
H -4.880 -2.942 -1.824
H -4.936 -3.533 -0.136
```

=====

A cluster of 11 separate species, C42H111N5O16 in total, computed with ωB97M-V/def2-TZVPD.

Cartesian coordinates (Å):
C1 0.264186 -24.317910 -50.051651
O1 0.376046 -24.247284 -51.471194
H1 0.637030 -23.418162 -49.562207
H2 -0.797356 -24.395037 -49.816539
H3 0.859484 -25.127823 -49.630045
H4 -0.359084 -24.684741 -51.906864
C2 -8.001663 -22.100422 -51.017789
O2 -8.322358 -20.906942 -50.466892
H5 -7.654651 -22.021681 -52.048072
H6 -7.273686 -22.625687 -50.399515
H7 -8.910109 -22.687828 -50.884503
H8 -9.081225 -20.632312 -50.986780
C3 -4.883839 -23.389319 -52.501853
O3 -6.044911 -23.943652 -53.120405
H9 -4.108504 -23.276047 -53.259560
H10 -5.106873 -22.421549 -52.052667
H11 -4.479387 -24.063644 -51.746995
H12 -6.218683 -23.467902 -53.935920
C4 0.267624 -33.832895 -49.618631
O4 -0.841197 -33.216166 -50.160976
C5 -0.556539 -32.556179 -51.381340
C6 -1.725260 -31.638496 -51.584344
N1 -1.760198 -30.548105 -50.601355
C7 -2.800883 -29.616734 -51.001427
C8 -3.067121 -28.551368 -49.976307
O5 -3.722764 -29.184366 -48.880981
C9 -4.130969 -28.343378 -47.868659
H13 0.087289 -34.377303 -48.691697
H14 1.099015 -33.136165 -49.511585
H15 0.680316 -34.538086 -50.340090
H16 -0.574366 -33.297456 -52.180277
H17 0.312051 -31.898182 -51.354787
H18 -2.662345 -32.195206 -51.591667
H19 -1.665770 -31.215738 -52.587260
H20 -1.925607 -31.027376 -49.727832
=====
This week's Vlog.
A bit of the luck of the Irish, combined with sensible precautions 😄 though sad for the other boat owners.